It remains to echo the whole of the data further below verbatim.
=====
A relaxed structure of NiH5CN2Cl3, computed with GGA-PBE.

Lattice parameters (Å, degrees): 13.9127 13.9127 5.8931 90.00 90.00 120.00
Atoms (fractional coordinates):
Ni: 0.0000 0.0000 0.0000
Ni: 0.0000 0.0000 0.5000
Ni: 0.3333 0.6667 0.0021
Ni: 0.3333 0.6667 0.4979
Ni: 0.6667 0.3333 0.5021
Ni: 0.6667 0.3333 0.9979
H: 0.0441 0.4825 0.7500
H: 0.0804 0.7667 0.2500
H: 0.0959 0.2520 0.7500
H: 0.1003 0.6084 0.2500
H: 0.1562 0.9041 0.7500
H: 0.1637 0.3976 0.7500
H: 0.2333 0.3138 0.2500
H: 0.2339 0.8363 0.7500
H: 0.2520 0.1562 0.2500
H: 0.3138 0.0804 0.7500
H: 0.3916 0.4919 0.2500
H: 0.3976 0.2339 0.2500
H: 0.4383 0.9559 0.7500
H: 0.4825 0.4383 0.2500
H: 0.4919 0.1003 0.7500
H: 0.5081 0.8997 0.2500
H: 0.5175 0.5617 0.7500
H: 0.5617 0.0441 0.2500
H: 0.6024 0.7661 0.7500
H: 0.6084 0.5081 0.7500
H: 0.6862 0.9196 0.2500
H: 0.7480 0.8438 0.7500
H: 0.7661 0.1637 0.2500
H: 0.7667 0.6862 0.7500
H: 0.8363 0.6024 0.2500
H: 0.8438 0.0959 0.2500
H: 0.8997 0.3916 0.7500
H: 0.9041 0.7480 0.2500
H: 0.9196 0.2333 0.7500
H: 0.9559 0.5175 0.2500
C: 0.0070 0.6836 0.2500
C: 0.3164 0.3234 0.2500
C: 0.3234 0.0070 0.7500
C: 0.6766 0.9930 0.2500
C: 0.6836 0.6766 0.7500
C: 0.9930 0.3164 0.7500
N: 0.0219 0.5976 0.2500
N: 0.0905 0.3231 0.7500
N: 0.2325 0.9095 0.7500
N: 0.3231 0.2325 0.2500
N: 0.4024 0.4243 0.2500
N: 0.4243 0.0219 0.7500
N: 0.5757 0.9781 0.2500
N: 0.5976 0.5757 0.7500
N: 0.6769 0.7675 0.7500
N: 0.7675 0.0905 0.2500
N: 0.9095 0.6769 0.2500
N: 0.9781 0.4024 0.7500
Cl: 0.0240 0.1468 0.2500
Cl: 0.1227 0.9760 0.2500
Cl: 0.1468 0.1227 0.7500
Cl: 0.1907 0.6529 0.7500
Cl: 0.2085 0.5206 0.2500
Cl: 0.3121 0.7915 0.2500
Cl: 0.3471 0.5378 0.7500
Cl: 0.4622 0.8093 0.7500
Cl: 0.4794 0.6879 0.2500
Cl: 0.5206 0.3121 0.7500
Cl: 0.5378 0.1907 0.2500
Cl: 0.6529 0.4622 0.2500
Cl: 0.6879 0.2085 0.7500
Cl: 0.7915 0.4794 0.7500
Cl: 0.8093 0.3471 0.2500
Cl: 0.8532 0.8773 0.2500
Cl: 0.8773 0.0240 0.7500
Cl: 0.9760 0.8532 0.7500

electronic total energy = -4.955 eV/atom
volume = 13.7 Å³ per atom
SG = P6_3/m

* * * * *

Density functional theory data (GGA-PBE) for crystalline Sc4Sn at its relaxed geometry.

Properties
energy above the most stable polymorph in this dataset = 0 meV/atom
E_form = -1.4 eV per formula unit
mass density = 4.33 g/cm³
V = 22.91 Å³/atom
uncorrected energy = -122.77 eV for the cell shown
total magnetization = 2.295 μB per cell

Cell: 4.8716 6.2431 15.0665 Å, 90.00 90.00 90.00°
Last column: nearest neighbours and their distance in Å.
Space group Imma (No. 74)
Unique sites:
Sc: 0.0000 0.0000 0.0000  8 Sc 2.98-3.31, 4 Sn 3.34
Sc: 0.0000 0.0003 0.1980  7 Sc 2.90-3.20, 2 Sn 3.18
Sc: 0.0000 0.2500 0.3935  3 Sn 3.12-3.27, 10 Sc 3.20-3.33
Sn: 0.0000 0.2500 0.6109  13 Sc 3.12-3.34

* * * * *

1.
Entry from the Alexandria database: crystalline YGaN2F at its relaxed geometry (PBE-GGA).

Output
- E_form (uncorrected) (meV/atom) = -225
- mass density (g cm⁻³) = 3.7
- energy relative to the lowest polymorph listed for this composition (meV per atom) = 713

Lattice parameters (Å, degrees): 4.6299 4.6299 4.3407 90.00 90.00 90.00
Element x y z (fractional)
F1 0.0000 0.0000 0.5000
N1 0.5000 0.0000 0.0000
N2 0.0000 0.5000 0.0000
Ga1 0.5000 0.5000 0.5000
Y1 0.0000 0.0000 0.0000

***

2.
Entry from the Alexandria database: crystalline Hf4SiAs at its relaxed geometry (PBE-GGA).

Output
- E_form (uncorrected) (meV/atom) = -769
- mass density (g cm⁻³) = 11.9
- energy relative to the lowest polymorph listed for this composition (meV per atom) = 0

Lattice parameters (Å, degrees): 5.3278 6.5352 6.5352 90.00 90.00 90.00
Element x y z (fractional)
Hf1 0.5000 0.3389 0.8465
Hf2 0.5000 0.8465 0.6611
Hf3 0.0000 0.6611 0.8465
Hf4 0.0000 0.3389 0.1535
Hf5 0.0000 0.8465 0.3389
Hf6 0.5000 0.6611 0.1535
Hf7 0.5000 0.1535 0.3389
Hf8 0.0000 0.1535 0.6611
Si1 0.7500 0.0000 0.0000
Si2 0.2500 0.0000 0.0000
As1 0.2500 0.5000 0.5000
As2 0.7500 0.5000 0.5000

***

3.
Entry from the Alexandria database: crystalline InH3SCl3 at its relaxed geometry (PBE-GGA).

Output
=====
A relaxed structure of NiH5CN2Cl3, computed with GGA-PBE.

Lattice parameters (Å, degrees): 13.9127 13.9127 5.8931 90.00 90.00 120.00
Atoms (fractional coordinates):
Ni: 0.0000 0.0000 0.0000
Ni: 0.0000 0.0000 0.5000
Ni: 0.3333 0.6667 0.0021
Ni: 0.3333 0.6667 0.4979
Ni: 0.6667 0.3333 0.5021
Ni: 0.6667 0.3333 0.9979
H: 0.0441 0.4825 0.7500
H: 0.0804 0.7667 0.2500
H: 0.0959 0.2520 0.7500
H: 0.1003 0.6084 0.2500
H: 0.1562 0.9041 0.7500
H: 0.1637 0.3976 0.7500
H: 0.2333 0.3138 0.2500
H: 0.2339 0.8363 0.7500
H: 0.2520 0.1562 0.2500
H: 0.3138 0.0804 0.7500
H: 0.3916 0.4919 0.2500
H: 0.3976 0.2339 0.2500
H: 0.4383 0.9559 0.7500
H: 0.4825 0.4383 0.2500
H: 0.4919 0.1003 0.7500
H: 0.5081 0.8997 0.2500
H: 0.5175 0.5617 0.7500
H: 0.5617 0.0441 0.2500
H: 0.6024 0.7661 0.7500
H: 0.6084 0.5081 0.7500
H: 0.6862 0.9196 0.2500
H: 0.7480 0.8438 0.7500
H: 0.7661 0.1637 0.2500
H: 0.7667 0.6862 0.7500
H: 0.8363 0.6024 0.2500
H: 0.8438 0.0959 0.2500
H: 0.8997 0.3916 0.7500
H: 0.9041 0.7480 0.2500
H: 0.9196 0.2333 0.7500
H: 0.9559 0.5175 0.2500
C: 0.0070 0.6836 0.2500
C: 0.3164 0.3234 0.2500
C: 0.3234 0.0070 0.7500
C: 0.6766 0.9930 0.2500
C: 0.6836 0.6766 0.7500
C: 0.9930 0.3164 0.7500
N: 0.0219 0.5976 0.2500
N: 0.0905 0.3231 0.7500
N: 0.2325 0.9095 0.7500
N: 0.3231 0.2325 0.2500
N: 0.4024 0.4243 0.2500
N: 0.4243 0.0219 0.7500
N: 0.5757 0.9781 0.2500
N: 0.5976 0.5757 0.7500
N: 0.6769 0.7675 0.7500
N: 0.7675 0.0905 0.2500
N: 0.9095 0.6769 0.2500
N: 0.9781 0.4024 0.7500
Cl: 0.0240 0.1468 0.2500
Cl: 0.1227 0.9760 0.2500
Cl: 0.1468 0.1227 0.7500
Cl: 0.1907 0.6529 0.7500
Cl: 0.2085 0.5206 0.2500
Cl: 0.3121 0.7915 0.2500
Cl: 0.3471 0.5378 0.7500
Cl: 0.4622 0.8093 0.7500
Cl: 0.4794 0.6879 0.2500
Cl: 0.5206 0.3121 0.7500
Cl: 0.5378 0.1907 0.2500
Cl: 0.6529 0.4622 0.2500
Cl: 0.6879 0.2085 0.7500
Cl: 0.7915 0.4794 0.7500
Cl: 0.8093 0.3471 0.2500
Cl: 0.8532 0.8773 0.2500
Cl: 0.8773 0.0240 0.7500
Cl: 0.9760 0.8532 0.7500

electronic total energy = -4.955 eV/atom
volume = 13.7 Å³ per atom
SG = P6_3/m

* * * * *

Density functional theory data (GGA-PBE) for crystalline Sc4Sn at its relaxed geometry.

Properties
energy above the most stable polymorph in this dataset = 0 meV/atom
E_form = -1.4 eV per formula unit
mass density = 4.33 g/cm³
V = 22.91 Å³/atom
uncorrected energy = -122.77 eV for the cell shown
total magnetization = 2.295 μB per cell

Cell: 4.8716 6.2431 15.0665 Å, 90.00 90.00 90.00°
Last column: nearest neighbours and their distance in Å.
Space group Imma (No. 74)
Unique sites:
Sc: 0.0000 0.0000 0.0000  8 Sc 2.98-3.31, 4 Sn 3.34
Sc: 0.0000 0.0003 0.1980  7 Sc 2.90-3.20, 2 Sn 3.18
Sc: 0.0000 0.2500 0.3935  3 Sn 3.12-3.27, 10 Sc 3.20-3.33
Sn: 0.0000 0.2500 0.6109  13 Sc 3.12-3.34

* * * * *

1.
Entry from the Alexandria database: crystalline YGaN2F at its relaxed geometry (PBE-GGA).

Output
- E_form (uncorrected) (meV/atom) = -225
- mass density (g cm⁻³) = 3.7
- energy relative to the lowest polymorph listed for this composition (meV per atom) = 713

Lattice parameters (Å, degrees): 4.6299 4.6299 4.3407 90.00 90.00 90.00
Element x y z (fractional)
F1 0.0000 0.0000 0.5000
N1 0.5000 0.0000 0.0000
N2 0.0000 0.5000 0.0000
Ga1 0.5000 0.5000 0.5000
Y1 0.0000 0.0000 0.0000

***

2.
Entry from the Alexandria database: crystalline Hf4SiAs at its relaxed geometry (PBE-GGA).

Output
- E_form (uncorrected) (meV/atom) = -769
- mass density (g cm⁻³) = 11.9
- energy relative to the lowest polymorph listed for this composition (meV per atom) = 0

Lattice parameters (Å, degrees): 5.3278 6.5352 6.5352 90.00 90.00 90.00
Element x y z (fractional)
Hf1 0.5000 0.3389 0.8465
Hf2 0.5000 0.8465 0.6611
Hf3 0.0000 0.6611 0.8465
Hf4 0.0000 0.3389 0.1535
Hf5 0.0000 0.8465 0.3389
Hf6 0.5000 0.6611 0.1535
Hf7 0.5000 0.1535 0.3389
Hf8 0.0000 0.1535 0.6611
Si1 0.7500 0.0000 0.0000
Si2 0.2500 0.0000 0.0000
As1 0.2500 0.5000 0.5000
As2 0.7500 0.5000 0.5000

***

3.
Entry from the Alexandria database: crystalline InH3SCl3 at its relaxed geometry (PBE-GGA).

Output